Next, restate all of the rows underneath exactly.
-- begin --
Diffraction record for SiAsPRh2C. The powder XRD pattern is theoretical, not measured: it uses a GGA-PBE-relaxed structure and copper Kα.
Kinematic intensities with the Lorentz-polarization factor, no thermal factor.

Atomic structure:
```
data_SiAsPRh2C
_symmetry_space_group_name_H-M 'P 1'
_symmetry_Int_Tables_number 1
_symmetry_space_group_name_Hall 'P 1'
_cell_length_a 5.2664
_cell_length_b 2.9260
_cell_length_c 6.0151
_cell_angle_alpha 90.00
_cell_angle_beta 115.33
_cell_angle_gamma 90.00
loop_
_atom_site_label
_atom_site_type_symbol
_atom_site_fract_x
_atom_site_fract_y
_atom_site_fract_z
Si1 Si 0.0000 0.0000 0.0000
As1 As 0.6604 0.0000 0.3014
P1 P 0.3096 0.5000 0.5218
Rh1 Rh 0.6050 0.5000 0.9291
Rh2 Rh 0.9812 0.5000 0.6810
C1 C 0.2911 0.0000 0.3281
```

Principal peaks in the range 2θ = 5–70°, by angle:
2θ = 18.64°, intensity 46, (1 0 0)
2θ = 18.80°, intensity 32, (1 0 -1)
2θ = 29.77°, intensity 43, (1 0 1)
2θ = 34.05°, intensity 69, (2 0 -1)
2θ = 34.82°, intensity 100, (0 1 1)
2θ = 43.18°, intensity 73, (1 1 1)
2θ = 43.41°, intensity 61, (1 1 -2)
2θ = 45.29°, intensity 37, (1 0 -3)
2θ = 46.39°, intensity 48, (2 1 -1)
2θ = 49.63°, intensity 31, (2 1 -2)

----------

Diffraction record for Na2NiPCO7. The X-ray diffraction stick pattern is theoretical, not measured: it uses a crystal structure in Alexandria, relaxed with GGA+U and Cu Ka.

Crystal structure
```
48
Lattice="8.289 0.000 0.000 -1.902 8.133 0.000 -3.213 -3.955 9.123" Properties=species:S:1:pos:R:3 pbc="T T T"
Na 0.000 0.000 0.000
Na -3.367 6.054 4.588
Na -2.509 2.099 9.110
Na 1.412 1.971 4.344
Na -0.115 0.107 9.029
Na 3.993 -0.068 4.473
Na 2.623 -2.045 8.957
Na 4.943 3.091 3.160
Ni -1.225 1.202 5.572
Ni -0.469 -3.154 8.124
Ni 1.970 5.198 5.570
Ni 2.687 0.894 8.156
P -2.781 -0.839 7.497
P 1.098 -1.149 6.109
P 0.414 3.223 7.499
P 4.230 2.846 6.133
C -1.429 0.846 2.855
C 3.001 1.132 1.514
C 1.853 4.995 2.877
C 6.082 5.128 1.514
O -1.559 5.900 0.691
O -2.215 5.248 2.765
O -3.559 3.433 7.470
O -0.807 1.809 3.440
O -2.097 -1.941 8.351
O -1.823 0.384 7.343
O 0.128 -2.337 6.400
O 0.360 -0.092 5.247
O 2.263 0.194 1.012
O 0.037 2.667 6.114
O 1.791 4.862 1.612
O -0.829 3.670 8.313
O 1.218 4.200 3.663
O 3.614 1.878 0.633
O 2.349 -1.606 5.330
O 3.139 1.345 2.764
O 1.505 -0.568 7.491
O 1.061 2.120 8.388
O 2.564 5.912 3.437
O 1.406 4.420 7.345
O 3.190 1.710 6.419
O 5.403 4.166 0.933
O 3.571 3.924 5.223
O 5.123 -1.381 6.095
O 6.809 0.752 1.584
O 6.234 0.004 3.608
O 4.251 -0.421 8.305
O 5.360 2.216 5.272
```

Most intense lines, 15 to 90 degrees two-theta, in order of rising 2θ:
- (-1 1 1), 16.6 deg, rel. 47.6
- (1 -1 1), 16.8 deg, rel. 41.1
- (1 1 1), 25.9 deg, rel. 75.1
- (2 -2 0), 27.4 deg, rel. 100.0
- (-2 2 2), 33.7 deg, rel. 52.3
- (2 -2 2), 34.0 deg, rel. 65.7
- (1 1 2), 34.1 deg, rel. 62.4
- (2 2 -2), 34.7 deg, rel. 71.1
-- stop --
Diffraction record for SiAsPRh2C. The powder XRD pattern is theoretical, not measured: it uses a GGA-PBE-relaxed structure and copper Kα.
Kinematic intensities with the Lorentz-polarization factor, no thermal factor.

Atomic structure:
```
data_SiAsPRh2C
_symmetry_space_group_name_H-M 'P 1'
_symmetry_Int_Tables_number 1
_symmetry_space_group_name_Hall 'P 1'
_cell_length_a 5.2664
_cell_length_b 2.9260
_cell_length_c 6.0151
_cell_angle_alpha 90.00
_cell_angle_beta 115.33
_cell_angle_gamma 90.00
loop_
_atom_site_label
_atom_site_type_symbol
_atom_site_fract_x
_atom_site_fract_y
_atom_site_fract_z
Si1 Si 0.0000 0.0000 0.0000
As1 As 0.6604 0.0000 0.3014
P1 P 0.3096 0.5000 0.5218
Rh1 Rh 0.6050 0.5000 0.9291
Rh2 Rh 0.9812 0.5000 0.6810
C1 C 0.2911 0.0000 0.3281
```

Principal peaks in the range 2θ = 5–70°, by angle:
2θ = 18.64°, intensity 46, (1 0 0)
2θ = 18.80°, intensity 32, (1 0 -1)
2θ = 29.77°, intensity 43, (1 0 1)
2θ = 34.05°, intensity 69, (2 0 -1)
2θ = 34.82°, intensity 100, (0 1 1)
2θ = 43.18°, intensity 73, (1 1 1)
2θ = 43.41°, intensity 61, (1 1 -2)
2θ = 45.29°, intensity 37, (1 0 -3)
2θ = 46.39°, intensity 48, (2 1 -1)
2θ = 49.63°, intensity 31, (2 1 -2)

----------

Diffraction record for Na2NiPCO7. The X-ray diffraction stick pattern is theoretical, not measured: it uses a crystal structure in Alexandria, relaxed with GGA+U and Cu Ka.

Crystal structure
```
48
Lattice="8.289 0.000 0.000 -1.902 8.133 0.000 -3.213 -3.955 9.123" Properties=species:S:1:pos:R:3 pbc="T T T"
Na 0.000 0.000 0.000
Na -3.367 6.054 4.588
Na -2.509 2.099 9.110
Na 1.412 1.971 4.344
Na -0.115 0.107 9.029
Na 3.993 -0.068 4.473
Na 2.623 -2.045 8.957
Na 4.943 3.091 3.160
Ni -1.225 1.202 5.572
Ni -0.469 -3.154 8.124
Ni 1.970 5.198 5.570
Ni 2.687 0.894 8.156
P -2.781 -0.839 7.497
P 1.098 -1.149 6.109
P 0.414 3.223 7.499
P 4.230 2.846 6.133
C -1.429 0.846 2.855
C 3.001 1.132 1.514
C 1.853 4.995 2.877
C 6.082 5.128 1.514
O -1.559 5.900 0.691
O -2.215 5.248 2.765
O -3.559 3.433 7.470
O -0.807 1.809 3.440
O -2.097 -1.941 8.351
O -1.823 0.384 7.343
O 0.128 -2.337 6.400
O 0.360 -0.092 5.247
O 2.263 0.194 1.012
O 0.037 2.667 6.114
O 1.791 4.862 1.612
O -0.829 3.670 8.313
O 1.218 4.200 3.663
O 3.614 1.878 0.633
O 2.349 -1.606 5.330
O 3.139 1.345 2.764
O 1.505 -0.568 7.491
O 1.061 2.120 8.388
O 2.564 5.912 3.437
O 1.406 4.420 7.345
O 3.190 1.710 6.419
O 5.403 4.166 0.933
O 3.571 3.924 5.223
O 5.123 -1.381 6.095
O 6.809 0.752 1.584
O 6.234 0.004 3.608
O 4.251 -0.421 8.305
O 5.360 2.216 5.272
```

Most intense lines, 15 to 90 degrees two-theta, in order of rising 2θ:
- (-1 1 1), 16.6 deg, rel. 47.6
- (1 -1 1), 16.8 deg, rel. 41.1
- (1 1 1), 25.9 deg, rel. 75.1
- (2 -2 0), 27.4 deg, rel. 100.0
- (-2 2 2), 33.7 deg, rel. 52.3
- (2 -2 2), 34.0 deg, rel. 65.7
- (1 1 2), 34.1 deg, rel. 62.4
- (2 2 -2), 34.7 deg, rel. 71.1